-- Data --
'''
69
Properties=species:S:1:pos:R:3 method="wB97M-V/def2-TZVPD" lumo_ev=-1.278 e_tot_ev=-63404.3110 gap_ev=6.1 multiplicity=1 de_lowest_kj_mol=271.97
Ba -10.789 -7.316 11.108
S -14.507 -8.389 10.671
O -14.893 -9.656 11.317
O -15.210 -8.373 9.401
O -14.882 -7.316 11.564
O -13.063 -8.378 10.497
O -10.011 -5.304 12.764
H -9.679 -5.548 13.628
H -9.648 -4.432 12.605
O -12.557 -5.197 10.791
H -11.933 -4.553 11.125
H -13.311 -5.127 11.377
O -14.398 -4.227 8.703
H -14.347 -3.491 8.093
H -13.486 -4.481 8.849
O -12.500 -9.586 8.305
H -13.161 -9.431 7.630
H -12.766 -9.025 9.034
O -9.490 -9.254 9.646
H -8.578 -9.510 9.780
H -9.889 -10.007 9.209
O -6.739 -9.954 10.001
H -7.029 -10.839 10.222
H -5.896 -9.860 10.443
O -10.441 -9.683 12.403
H -9.905 -10.292 12.910
H -11.331 -9.820 12.726
O -6.408 -7.230 9.458
H -5.923 -6.948 8.683
H -6.517 -8.174 9.344
O -8.784 -5.794 9.936
H -8.585 -4.872 9.770
H -8.010 -6.266 9.628
O -12.857 -6.773 13.289
H -13.020 -7.219 14.120
H -13.649 -6.928 12.774
O -10.661 -10.162 15.468
H -11.454 -9.627 15.454
H -10.744 -10.734 14.704
O -15.414 -4.786 11.168
H -14.983 -4.517 10.357
H -15.206 -5.716 11.253
O -8.103 -7.722 12.390
H -7.438 -7.996 13.021
H -7.611 -7.527 11.592
O -12.954 -9.924 13.221
H -13.419 -9.427 13.894
H -13.552 -9.935 12.474
O -11.261 -6.578 8.295
H -11.026 -6.698 7.375
H -11.437 -5.641 8.378
O -10.703 -11.525 8.366
H -11.301 -10.814 8.134
H -11.257 -12.170 8.806
O -8.959 -7.509 6.502
H -8.281 -8.168 6.357
H -9.458 -7.838 7.250
O -13.267 -11.687 10.254
H -13.686 -11.076 10.860
H -13.375 -11.282 9.393
O -11.341 -3.752 8.420
H -10.396 -3.598 8.434
H -11.719 -2.901 8.199
'''

-- Wanted --
Reproduce the lines above up to the one that holds "-14.983 -4.517", that line included.

-- Completed --
69
Properties=species:S:1:pos:R:3 method="wB97M-V/def2-TZVPD" lumo_ev=-1.278 e_tot_ev=-63404.3110 gap_ev=6.1 multiplicity=1 de_lowest_kj_mol=271.97
Ba -10.789 -7.316 11.108
S -14.507 -8.389 10.671
O -14.893 -9.656 11.317
O -15.210 -8.373 9.401
O -14.882 -7.316 11.564
O -13.063 -8.378 10.497
O -10.011 -5.304 12.764
H -9.679 -5.548 13.628
H -9.648 -4.432 12.605
O -12.557 -5.197 10.791
H -11.933 -4.553 11.125
H -13.311 -5.127 11.377
O -14.398 -4.227 8.703
H -14.347 -3.491 8.093
H -13.486 -4.481 8.849
O -12.500 -9.586 8.305
H -13.161 -9.431 7.630
H -12.766 -9.025 9.034
O -9.490 -9.254 9.646
H -8.578 -9.510 9.780
H -9.889 -10.007 9.209
O -6.739 -9.954 10.001
H -7.029 -10.839 10.222
H -5.896 -9.860 10.443
O -10.441 -9.683 12.403
H -9.905 -10.292 12.910
H -11.331 -9.820 12.726
O -6.408 -7.230 9.458
H -5.923 -6.948 8.683
H -6.517 -8.174 9.344
O -8.784 -5.794 9.936
H -8.585 -4.872 9.770
H -8.010 -6.266 9.628
O -12.857 -6.773 13.289
H -13.020 -7.219 14.120
H -13.649 -6.928 12.774
O -10.661 -10.162 15.468
H -11.454 -9.627 15.454
H -10.744 -10.734 14.704
O -15.414 -4.786 11.168
H -14.983 -4.517 10.357